1. Introduction

Calculated crystals that have nothing to do with the piece >
- - -
[1]
A geometry-optimized Li7Nd3Zr2O12 structure, computed with PBE-GGA.

Summary:
Its total energy is -7.084 eV per atom. For the energy of formation, the calculation gives -3088.1 meV/atom. The calculation puts the total magnetic moment at 0.0 Bohr magnetons per cell.

Geometry as extended XYZ:
```
96
Lattice="-6.5254 6.5254 6.3073 6.5254 -6.5254 6.3073 6.5254 6.5254 -6.3073" Properties=species:S:1:pos:R:3 pbc="T T T"
Li 8.9102 -0.8779 1.5768
Li 7.5588 5.3700 -3.8438
Li 2.1073 2.2293 -0.6902
Li 6.5254 -3.2627 4.7305
Li 2.3848 0.8779 1.5768
Li 7.5588 -1.1554 3.8438
Li 4.4182 2.2293 0.6902
Li 4.4182 -2.2293 5.6171
Li 7.5588 1.1554 2.4635
Li 2.3848 -0.8779 4.7305
Li 6.5254 3.2627 1.5768
Li 8.6327 4.2961 0.6902
Li 1.0334 1.1554 3.8438
Li 2.3848 7.4034 -1.5768
Li 4.1407 -0.8779 7.8841
Li 5.4920 5.3700 2.4635
Li -2.1073 2.2293 5.6171
Li 0.0000 3.2627 4.7305
Li 4.1407 7.4034 1.5768
Li -1.0334 5.3700 3.8438
Li 2.1073 8.7548 0.6902
Li 2.1073 4.2961 5.6171
Li -1.0334 7.6809 2.4635
Li 4.1407 5.6475 4.7305
Li 0.0000 9.7882 1.5768
Li 4.4182 4.2961 6.9975
Li -1.0334 1.1554 10.1511
Li -2.3848 7.4034 4.7305
Nd 9.7882 1.5992 0.0000
Nd 6.5254 3.2627 -1.5768
Nd 4.8619 6.5254 -3.1537
Nd 4.8619 0.0000 3.1537
Nd 0.0000 3.2627 1.5768
Nd 3.2627 4.9263 0.0000
Nd 3.2627 1.5992 6.3073
Nd 6.5254 3.2627 4.7305
Nd 1.6636 6.5254 3.1537
Nd 1.6636 0.0000 9.4610
Nd 0.0000 3.2627 7.8841
Nd -3.2627 4.9263 6.3073
Zr 0.0000 0.0000 0.0000
Zr 3.2627 3.2627 -3.1537
Zr 3.2627 -3.2627 3.1537
Zr 6.5254 0.0000 0.0000
Zr -3.2627 3.2627 3.1537
Zr 0.0000 6.5254 0.0000
Zr 0.0000 0.0000 6.3073
Zr 3.2627 3.2627 3.1537
O 5.2117 4.0054 -3.5749
O 11.0651 -0.3533 0.6969
O 4.5396 0.3533 0.6969
O 5.2117 -2.5200 3.5749
O 2.9094 -1.2769 2.4568
O 6.9691 -0.7359 1.9466
O 5.7828 -4.5765 5.8861
O 3.9986 2.8190 -1.2071
O 7.2681 1.9490 0.4212
O 9.0523 3.7064 -1.2071
O 2.9094 5.2485 -2.4568
O 0.4437 0.7359 1.9466
O 6.9691 5.7896 -1.9466
O 9.4349 1.2769 2.4568
O 2.5268 2.8190 1.2071
O 0.7427 4.5765 -0.4212
O 3.9986 -2.8190 7.5144
O 5.7828 4.5765 0.4212
O 6.9691 0.7359 4.3607
O 2.9094 1.2769 3.8505
O 5.2117 2.5200 2.7324
O 4.5396 -0.3533 5.6104
O 4.5396 6.8787 -0.6969
O -1.3137 2.5200 3.5749
O 7.8392 4.0054 2.7324
O 1.9858 -0.3533 7.0042
O 1.9858 6.8787 0.6969
O 1.3137 4.0054 3.5749
O 3.6160 5.2485 2.4568
O -0.4437 5.7896 1.9466
O 0.7427 1.9490 5.8861
O 2.5268 9.3445 -1.2071
O 5.7828 1.9490 6.7285
O 3.9986 3.7064 5.1002
O -2.9094 5.2485 3.8505
O -0.4437 0.7359 8.2539
O 6.0818 5.7896 4.3607
O 3.6160 1.2769 8.7641
O -2.5268 2.8190 7.5144
O -0.7427 4.5765 5.8861
O 2.5268 3.7064 7.5144
O 0.7427 11.1019 0.4212
O -0.4437 7.2613 4.3607
O 3.6160 7.8024 3.8505
O 1.3137 9.0455 2.7324
O 1.9858 6.1722 5.6104
O -4.5396 6.8787 5.6104
O 1.3137 2.5200 9.8822
```


[2]
A geometry-optimized U3H2O10 structure, computed with PBE-GGA.

Summary:
Its total energy is -8.591 eV per atom. For the energy of formation, the calculation gives -3039.7 meV/atom. The calculation puts the total magnetic moment at 0.0 Bohr magnetons per cell.
- - -
The calculated crystals stop here >

This Service agreement ("Agreement") regulates the terms and conditions of using Messente messaging platform ("Service”) and is entered into by You ("User") and Messente Communications OÜ ("Messente") located at Akadeemia 3, 51003 Tartu, Estonia (hereinafter jointly referred to as “Parties”). “User” shall refer to You and the legal entity You duly represent as well as the officers, employees, agents, representatives and advisors that use the Service under this Agreement collectively.

By entering into this Agreement the User represents that it wishes to use the Service provided by Messente, namely the acceptance, storage and onward delivery of SMS messages.

The Agreement includes the privacy policy and the Data Handling Policy.

By registering for or using the Service the User acknowledges having read and fully understood the Agreement. By registering for or using the Service the User also agrees to having entered into the Agreement and agrees to be bound by the terms in the Agreement,the Privacy Policy and the DPA.

By entering into this Agreement the User confirms being at least 18 years of age and having adequate legal capacity to enter into the Agreement. The User confirms that they have the right to represent their employer in registering for an account to use the Service and the right to bind their employer to this Agreement. The User will use the Service only for lawful purposes, in accordance with the Agreement and the instructions provided on Messente’s website http://www.messente.com ("Website"), as amended from time to time.

2. Your Account, Password and Security

2.1. In order to use the Service Messente may ask for some information from the User (company name, contact information etc.). The User warrants that all the information provided to Messente is current, complete and accurate to the best of the User’s knowledge.

2.2. For fraud prevention, anti-spam and scam avoidance purposes Messente may request the User to provide additional information to verify the identity of the person using the Service. This may include, but is not limited to, copies of registration documents or registry out-takes, personal references from known associates, copies of identification documents, bank guarantees etc. This data will be handled according to the Data Handling Policy of Messente.

2.3.Messente may ask the User to provide their phone number for the purposes of user verification. In such cases, Messente will use the phone number provided by the User for user verification purposes only. This includes sending an SMS message (or any mobile short message) containing a PIN code or a one-time password (OTP)  as a part of the user verification process.

2.4. Messente reserves the right to suspend or stop any User from using the Service in case the information provided by the User is found to be outdated, incomplete or inaccurate.

2.5. Messente retains the right to delete the User’s account and the accompanying data, if the User has not logged into or has not used the User’s account in any way for more than 12 months. The User will be notified via the account dashboard and via the email address provided under the account information 30 days prior to account deletion.

2.6. In case the information provided to Messente by the User should change the User shall notify Messente without undue delay.

2.7. The User shall not circumvent or attempt to circumvent the user authentication systems and other security and verification features used by Messente. The User is solely responsible for all all events and activity which occur while or as a result of the User using the Service and is solely responsible for the payment of any charges incurred as a result of the User using the Service.

2.8. The User is responsible for maintaining the confidentiality of passwords, login credentials and any information regarding the Service or the User’s personal account. The User is to immediately notify Messente (messente@messente.com) of any unauthorized use of the User’s password or account of which the User is aware of. Failure by the User to uphold security of the User’s account information shall give rise to liability in accordance with the section Limitation of Liability contained herein.

2.9. The User acknowledges that all messages sent using the Service are transmitted in an unencrypted format. The User shall not transmit any messages the content of which must be encrypted in accordance with the law or due to the nature of such content through the Service. The User shall fully indemnify Messente of any cost or damage that arises due to the breach of this clause 2.9.

3. Prohibited Use of Service

3.1. Under any circumstances the User shall not use the Service to transmit any messages which:
(a) are unsolicited, meaning sending messages to recipients who have not explicitly requested to receive messages from the User,
(b) contain content deemed illegal by the laws of Estonia and/or the laws of the recipient’s country,
(c) are unlawful, harassing, defamatory, abusive, indecent, threatening, harmful, vulgar, obscene, sexually orientated, racially offensive, profane, pornographic, abusive, misleading, threatening or otherwise intending to cause distress, annoyance, inconvenience, worry or upset to the recipient,
(d) contain copyright, trademarks or other intellectual property without the written permission to use such of the holder of intellectual property rights attached thereto,
(e) may bring Messente’s or Messente’s affiliates’, officers’, employees’, agents’, contractors’ or representatives’ name and/or brand into disrepute,
(f) contain malware, viruses, trojans, worms, keyloggers and other malicious code or links thereto.

3.2. The User agrees that sending P2P messages via the Service is not allowed. P2P messages and messages described in subclauses (a) to (f) of clause 3.1. shall be referred to as Prohibited Messages.

3.3. The User is to immediately notify Messente of any Prohibited Messages having been sent using the Service, upon having come to the knowledge thereof, and is to provide all reasonable assistance requested by Messente to prevent and/or rectify any damage or potential damage arising due to the sending of Prohibited Messages. The User is solely liable to pay any fines, damages, losses, costs or penalties, and defend and fully indemnify Messente against any action, arising out of the sending of Prohibited Messages in accordance with Section 6 of this Agreement. If the User transmitted a Prohibited Message on behalf of another party (“Originator”), in addition to other steps envisioned in this Agreement, the User shall suspend such Originator without undue delay.

3.4. As a result of Prohibited Messages being transmitted using the Service, Messente may at its discretion temporarily suspend the account which has been used to send such messages until the matter is resolved to the satisfaction of Messente. If necessary considering the circumstances, in Messente’s sole discretion, Messente may terminate the User’s account and this Agreement, with immediate effect and no liability arising on the part of Messente. In case of such termination, prepaid fees shall not be refunded.3.5. For the avoidance of doubt, the indemnification obligation envisioned in clauses 3.3 and 6.2 shall be valid regardless of whether the sending of Prohibited Messages was undertaken by the User or by another person using the User’s account.

4. Payments

4.1. The User shall pay Messente a monthly subscription fee (“Platform Fee”) in accodance with the then-current Messente pricelist and a per-SMS message fee (“Message Fee”) for every message sent through the Service (Platform Fee and Message Fee collectively referred to as “Fees”). The Fees shall be calculated by reference to the usage data recorded by Messente. Message Fee is subject to changes without prior notice.

4.2. Upon registering an account with Messente for the first time, the User shall be provided with credits for the purpose of testing the functionality of the Service (“Test Credits”).

4.3. Test Credits shall expire in 3 months counting from the date the Test Credits are credited to the User’s account, and any unused Test Credits shall be removed from the User’s account. If the User has not provided full and correct information when registering an account Messente reserves itself the right, at its discretion, to remove the Test Credits from the User’s account. Test Credits, including unused Test Credits, shall expire after deletion of the User’s account by the User or by Messente due to account inactivity in accordance with clause 2.5.

4.4. All Fees are payable in advance. The User shall not be able to use the Service until all due payments have been received by Messente. Payments for using the Service can be made by bank transfer or through a payment gateway using a credit card. Other payment methods may be accepted at the sole discretion of Messente.

4.5. If the User makes the payment using a credit card, the information associated with the credit card shall not be visible to nor accessible by Messente. In the case of credit card payments the User will be directed to a secure environment provided by the credit card payment operator.

4.6. Messente retains the right to change the payment conditions, including but not limited to the Fees and/or the structure of Fees for any reason, including but not limited to fluctuations in prices charged by operators of telecommunications networks and infrasctructure and changes in industry trends, without prior notice to the User. The User shall be able to view the then current Fees at any time in the dashboard available at dashboard.messente.com.

5. Warranty


6. Indemnification

6.1. Messente shall indemnify, including reasonable attorney fees, and hold harmless the User against any suit, action, claim or proceeding arising out of or in connection with Messente’s breach of third party Intellectual Property Rights. In order for Messente’s indemnification obligation to be applicable, the User shall immediately notify Messente of any such suit, action, claim or proceeding brought against the User by a third party, shall fully turn over the defense of the suit, action, claim or proceeding to Messente, shall cooperate with Messente in the defense of the suit, action, claim or proceeding and shall not accept any settlement, agreement or judgment without Messente’s prior written consent. Messente’s indemnification obligation provided herein shall not be applicable if the suit, action, claim or proceeding arising out of or in connection with (i) the User's misuse of the Service or use of the Service in breach of this Agreement, (ii) any modification made by the User or a third party acting on the User's behalf of the Service made without the knowledge and prior written consent of Messente, (iii) use of the Service in combination with other software, application, plugin or any other third party code, (iv) the content the User uploads to, transmits or uses through the Service, (v) any illegal or unlawful conduct by the User when using the Service.

6.2. The User shall indemnify, including reasonable attorney fees, and hold harmless Messente against any suit, action, claim or proceeding arising out of or in connection with the User's use of the Service, also including but not limited to the sending of Prohibited Messages in breach of Section 3 of this Agreement. In order for the User's indemnification obligation to be applicable, Messente shall immediately notify the User of any such suit, action, claim or proceeding brought against Messente by a third party, shall fully turn over the defense of the suit, action, claim or proceeding to the User, shall cooperate with the User in the defense of the suit, action, claim or proceeding and shall not accept any settlement, agreement or judgment without the User's prior written consent. Specifically, the User shall indemnify, including reasonable attorney fees, and hold harmless Messente against any suit, action, claim or proceeding arising out of or in connection with the content the User uploads to, transmits or uses through the Service or arising out of or in connection with the User's use of the Service in breach of the law.

7. Limitation of Liability

7.1. Neither Party shall be liable, explicitly or implicitly, for any indirect, special, consequential, incidental or punitive damages, loss of profit and revenue, loss of business opportunities, loss of production, loss of reputation, with the exception of such damages caused by gross negligence or willful malicious conduct.

7.2. The direct liability of the Parties shall be limited to the fees actually paid to Messente by the User over a period of twelve (12) months preceding the event out of which direct liability arose. For the avoidance of doubt, Messente shall have no liability arising out of any damage, loss or interruption caused by circumstances out of Messente’s control, including but not limited to disruptions in telecommunication networks and interruptions caused by telecommunications networks providers. Notwithstanding the foregoing, the User shall be fully liable for any direct damage, cost or loss sustained by Messente or a third party as a result of the User using the Service in violation of this Agreement or in a grossly negligent or wilfully malicious manner or any person other than the User using the Service with the User’s account information.7.3. Messente shall not be liable for any faults in the delivery, transmission, re-transmission or reception of SMS messages, if such faults are attributable to telecommunication networks operators, carrier or third parties.

8. Term and Termination

8.1. This Agreement shall be considered as accepted and entered into by Messente and the User on the date of registration of the User account with Messente for a term of one (1) year (“Initial Term”). After the Initial Term ends, this Agreement shall renew automatically for successive periods of one (1) year (“Renewal Term”) unless the User notifies Messente of termination at latest thirty (30) days prior to the date of renewal. During the Initial Term this Agreement may not be terminated by the User unless for reasons of material breach of this Agreement by Messente. During each Renewal Term the User may terminate this Agreement with or without cause by providing Messente with a thirty (30) day termination notice.

8.2. Any Fees pre-paid by the User shall not be refunded. Payment obligations that accrued prior to termination shall stay in force until fully satisfied. Sections 5, 6, 7 and 9 shall survive termination of this Agreement indefinitely. Any obligations arising out of the DPA shall survive termination of this Agreement until such obligations have been completely fulfilled.

9. Intellectual Property

9.1. The Intellectual Property Rights belonging to either Party, including but not limited to copyright, trademarks, logos, names, and others shall remain vested in the Party to whom the Intellectual Property Rights originally belonged and nothing in this Agreement shall be construed as a license to use the other Party’s Intellectual Property Rights except for the purpose of fulfilling this Agreement and providing the Service and only for the duration of this Agreement.

9.2. Neither Party shall use the other Party’s Intellectual Property for any purpose other than the fulfilment of its obligations or the enforcement of its rights under this Agreement, unless the other Party gives written consent to do otherwise.

10. Changes to the Agreement

10.1. All of the terms in the Agreement and on the Website including the pricing are subject to change by Messente at any time without prior notification.

Materials data that have nothing to do with the piece:
********
# K3TiCl6

An optimized crystal structure of K3TiCl6 (GGA-PBE, the Materials Project database).

The space group is P2_1/c (No. 14) and the conventional cell measures 13.183, 7.268 and 15.749 Å, with angles of 90.00, 108.30 and 90.00 degrees. The asymmetric unit holds K at (0.044, 0.015, 0.342), K at (0.328, 0.502, 0.397), K at (0.355, 0.610, 0.699), Ti at (0.000, 0.000, 0.000), Ti at (0.500, 0.000, 0.500), Cl at (0.075, 0.711, 0.013), Cl at (0.115, 0.099, 0.922), Cl at (0.164, 0.743, 0.251), Cl at (0.320, 0.566, 0.965), Cl at (0.465, 0.173, 0.356) and Cl at (0.469, 0.220, 0.079).

The formation energy is -2.068 eV/atom. The magnetization comes out at 4.0 Bohr magnetons per cell.
********

10.2. Any such changes become effective immediately after being published by Messente on the Website. For being informed of all such changes revising the Website and the Agreement regularly is strongly recommended.

10.3. By continuing to use the Services after the amended terms and pricing in the Agreement or on the Website have been published the User automatically agrees to being bound by such amended terms and pricing.

11. Final Provisions

11.1. This Agreement is governed by the laws and courts of Estonia, with all dispute resolution conducted in Estonia, in Tartu County Court, in accordance with the applicable laws. The User agrees that the English language version of the Agreement will govern the relationship between the User and Messente. All translations from the English language Agreement to some other language are provided for convenience. In case of any contradictions between the English language version of the Agreement and any translations the English language version shall take precedence.

11.2. Parties shall not be responsible for total or partial default on their obligations hereunder where such default occurs due to the impact of force majeure circumstances. The Parties shall construe force majeure circumstances as circumstances which a Party could not foresee at the time of concluding the Agreement and could not prevent or remove with any means whatsoever. Such circumstances shall be: natural calamities, strikes, fires, war, lawful or unlawful decisions of public authorities, etc.

11.3. No Waiver. When a Party does not pursue a remedy or exercise a right accorded to it in law or under this Agreement, this shall not be construed as a waiver of such remedy or right and shall not affect the enforceability of the rights, obligations and remedies accorded in law or under this Agreement.

11.4. Severability. If any provision in this Agreement is at any time found to be in conflict with applicable law, such provision shall be struck from this Agreement without affecting the enforceability of the rest of this Agreement and shall be promptly replaced by the Parties with a provision that complies with applicable law and fulfils the purpose and intent of the struck down provision.

Next to the piece, the page also holds crystal structures
=====
A plane-wave DFT calculation with GGA-PBE was carried out for a geometry-optimized Tb2Al4NiGe2 structure.

Unit cell a=10.165 b=10.165 c=10.165 alpha=156.44 beta=156.44 gamma=33.56
Atoms (fractional coordinates):
Tb: 0.186 0.186 0.000
Tb: 0.814 0.814 0.000
Al: 0.067 0.567 0.500
Al: 0.433 0.933 0.500
Al: 0.567 0.067 0.500
Al: 0.933 0.433 0.500
Ni: 0.000 0.000 0.000
Ge: 0.338 0.338 0.000
Ge: 0.662 0.662 0.000

Its total magnetization is 0.0 μB per formula unit. For the formation energy, the calculation gives -640 meV/atom. The space group is I4/mmm (139). For the total energy, the calculation gives -5.004 eV/atom.



A plane-wave DFT calculation with GGA-PBE was carried out for a geometry-optimized CeSe2 structure.

Unit cell a=7.268 b=4.565 c=13.975 alpha=90.00 beta=100.55 gamma=90.00
Atoms (fractional coordinates):
Ce: 0.055 0.000 0.198
Ce: 0.335 0.500 0.662
Ce: 0.665 0.500 0.338
Ce: 0.945 0.000 0.802
Se: 0.000 0.000 0.000
Se: 0.084 0.000 0.621
Se: 0.166 0.500 0.835
Se: 0.448 0.000 0.242
Se: 0.500 0.500 0.500
Se: 0.552 0.000 0.758
Se: 0.834 0.500 0.165
Se: 0.916 0.000 0.379

Its energy with MP2020 corrections is -5.98 eV/atom. Its total magnetization is 0.0 μB per formula unit. For the formation energy, the calculation gives -1668 meV/atom. The space group is P2/m (10). For the total energy, the calculation gives -5.661 eV/atom.



A plane-wave DFT calculation with GGA-PBE was carried out for a geometry-optimized Ce5Sb4As structure.

Unit cell a=15.963 b=15.963 c=15.963 alpha=163.96 beta=163.96 gamma=22.76
Atoms (fractional coordinates):
Ce: 0.000 0.000 0.000
Ce: 0.200 0.200 0.000
Ce: 0.404 0.404 0.000
Ce: 0.596 0.596 0.000
Ce: 0.800 0.800 0.000
Sb: 0.100 0.100 0.000
Sb: 0.301 0.301 0.000
Sb: 0.699 0.699 0.000
Sb: 0.900 0.900 0.000
As: 0.500 0.500 0.000

Its total magnetization is 4.2 μB per formula unit. For the formation energy, the calculation gives -1108 meV/atom. The space group is I4/mmm (139). For the total energy, the calculation gives -6.192 eV/atom.



A plane-wave DFT calculation with GGA-PBE was carried out for a geometry-optimized Pr8Ni18P11 structure.

Unit cell a=18.297 b=18.297 c=3.951 alpha=90.00 beta=90.00 gamma=120.00
Atoms (fractional coordinates):
Pr: 0.000 0.000 0.000
Pr: 0.001 0.219 0.000
Pr: 0.001 0.782 0.000
Pr: 0.046 0.523 0.500
Pr: 0.218 0.219 0.000
Pr: 0.218 0.999 0.000
Pr: 0.260 0.521 0.500
Pr: 0.260 0.740 0.500
Pr: 0.442 0.221 0.000
Pr: 0.477 0.523 0.500
Pr: 0.477 0.954 0.500
Pr: 0.479 0.740 0.500
Pr: 0.779 0.221 0.000
Pr: 0.779 0.558 0.000
Pr: 0.781 0.782 0.000
Pr: 0.781 0.999 0.000
Ni: 0.073 0.147 0.500
Ni: 0.073 0.927 0.500
Ni: 0.076 0.371 0.500
Ni: 0.076 0.705 0.500
Ni: 0.184 0.368 0.000
Ni: 0.184 0.816 0.000
Ni: 0.188 0.594 0.000
Ni: 0.291 0.146 0.500
Ni: 0.295 0.371 0.500
Ni: 0.295 0.924 0.500
Ni: 0.401 0.031 0.000
Ni: 0.401 0.370 0.000
Ni: 0.406 0.594 0.000
Ni: 0.406 0.812 0.000
Ni: 0.498 0.130 0.500
Ni: 0.498 0.369 0.500
Ni: 0.580 0.290 0.500
Ni: 0.617 0.234 0.000
Ni: 0.617 0.383 0.000
Ni: 0.629 0.705 0.500
=====
The crystal structures stop here

11.5. Force Majeure. Under no circumstances shall either Party be held responsible or liable, whether directly or indirectly, in connection to any occasion or delay or failure in performance resulting from causes beyond its control including, without limitation, strikes, labor disputes, riots, insurrections, civil disturbances, fires, flood, storms, explosions, utility curtailments, power failures, acts of god, war, governmental actions or any causes out of control of the Parties reasonable control. Messente shall use commercially reasonable means to mitigate or eliminate any adverse effects of such force majeure events it may have on its obligations hereunder.

11.6. No publicity. Neither Party may use the other Party’s logo, name, trademark or the existence of the business relationship established by this Agreement as a reference for marketing purposes without the prior written consent of the other Party.